Recreational fishermen die yearly because they fail to follow a few basic boating safety rules. According to statistics compiled by the Pennsylvania Fish and Boat Commission, 12 of 18 drowning victims died due to hypothermia in 1997, and the vast majority of all drowning victims throughout the United States weren't wearing a life preserver.
Statistically speaking, bass fishing is an innocuous sport. A minor tendonitis of the elbow, hook in the hand, or maybe an acute case of sunburn is about all angler's face. Fishermen are at far more risk driving to and from the boat ramp than they are while on the water.
But as with life in general, fishing does have its hazards. Every year, a headline story in a small-town newspaper or a short blurb in a large metropolitan paper recalls another drowning victim, often an angler venturing out for an early spring fishing trip. That's precisely what happened to a Pennsylvania angler last February. Galen Walters, a seasoned smallmouth angler, was fishing alone on the Susquehanna River near Harrisburg when he disappeared. His jet boat was found, still anchored in the river, with a pile of tools lying across the back deck next to the motor's cowling. He had engine trouble. The river was thick with ice that day, and while no one knows for sure, one theory suggests that a chunk of ice bumped Walters' boat, and he went overboard, swept away by the river's powerful current. He wasn't wearing a life vest, the most elementary boating safety rule. What was Walters thinking? Like most drowning victims, he probably thought, "It won't happen to me."

Hypothermia was probably responsible for cooling the body's core temperature. In icy water, essential human functions slow quickly and dramatically. Trying to swim or tread water causes the body to lose heat even faster, so a life preserver is essential.
Randy Howell knows how dangerous bass fishing can be. He was one lightning strike away from becoming yet another statistic. The Trussville, Ala. pro was practicing for a major tournament on the Louisiana Delta when he noticed storm clouds brewing directly between him and safety. And they were moving towards him, fast.
"I started running all around looking for some shelter, but there was nothing around at all. The entire area is one big flat marsh with no houses or other form of safety for miles. I was a long way from the dock, so I did the only thing that I could think of," he says.
• What comes next are crystal structures, not part of the entry:
........
1.
# TlCdW2

A geometry-optimized TlCdW2 structure (GGA-PBE, Alexandria via LeMat-Bulk).

a = 5.6452 Å, b = 5.6452 Å, c = 5.6452 Å
α = 146.46°, β = 130.70°, γ = 60.95°
With the nearest neighbours (Å) after each atom.
Positions (direct):
1 Tl 0.2500 0.7500 0.5000  4 Cd 2.86, 4 W 2.91
2 W 0.0016 0.0016 0.0000  4 W 2.86, 2 Tl 2.91, 2 Cd 2.94
3 W 0.4984 0.4984 0.0000  4 W 2.86, 2 Tl 2.91, 2 Cd 2.94
4 Cd 0.7500 0.2500 0.5000  4 Tl 2.86, 4 W 2.94

Calculated values
- SG: Immm (71)

---

2.
# YTlCd

A geometry-optimized YTlCd structure (GGA-PBE, Alexandria via LeMat-Bulk).

a = 4.9523 Å, b = 4.9523 Å, c = 4.9523 Å
α = 60.00°, β = 60.00°, γ = 60.00°
With the nearest neighbours (Å) after each atom.
Positions (direct):
1 Y 0.2500 0.2500 0.2500  4 Tl 3.03
2 Tl 0.0000 0.0000 0.0000  4 Cd 3.03, 4 Y 3.03
3 Cd 0.7500 0.7500 0.7500  4 Tl 3.03

Calculated values
- SG: F-43m (216)

---

3.
# YTlCd

A geometry-optimized YTlCd structure (GGA-PBE, Alexandria via LeMat-Bulk).

a = 4.7963 Å, b = 5.7706 Å, c = 7.5604 Å
α = 73.26°, β = 108.48°, γ = 65.53°
With the nearest neighbours (Å) after each atom.
Positions (direct):
1 Y 0.9249 0.1137 0.5415  5 Cd 3.21-3.51, 5 Tl 3.22-3.28
2 Y 0.6435 0.0773 0.9413  6 Cd 3.21-3.42, 4 Tl 3.24-3.27
3 Tl 0.1477 0.5707 0.4420  5 Y 3.22-3.27, 2 Cd 3.28-3.29, 3 Tl 3.41-3.46
4 Tl 0.2703 0.1128 0.2307  5 Cd 3.18-3.48, 4 Y 3.24-3.28, 3 Tl 3.41-3.46
5 Cd 0.7807 0.6034 0.7423  4 Tl 3.18-3.33, 2 Cd 3.22, 6 Y 3.35-3.51
6 Cd 0.4161 0.6234 0.0343  5 Y 3.21-3.31, 2 Cd 3.22, 3 Tl 3.35-3.48

Calculated values
- SG: P1 (1)

---

no.,ΔE_f (eV per atom)
1,0.91
2,-0.20
3,-0.26
........
• The crystal structures stop here:
Security, at least in Howell's mind, was found in a tall patch of aquatic vegetation that stood about 12 feet high. He ran his boat up into the canes, squatted down on the floor, and prayed for safety as the intense storm dumped rain into his boat faster than his bilge pump could remove it. Water pooled on the floor as lightning cracked all around. It was a violent storm.
"I thought about getting into my rod locker, but there was so much equipment in there I didn't try to empty it. I didn't think I had time. Luckily, the storm passed, and I was okay," he says.
Howell was lucky. Hundreds of other outdoor enthusiasts aren't. An angler was struck by lightning on the Potomac River several years ago as he was trying to run for safety, much like Howell was on that day. Although there are no hard statistics available for lightning victims throughout the country, Walt Zaleski, a meteorologist with the National Weather Service office in Tampa, said in Florida between 1959 and 1996, 374 people were killed by lightning; another 1,337 were struck but survived. Lightning nationwide kills an estimated 73 people each year.
So what do you do if a nasty electrical storm pins you far from the security of an enclosed building or a parked car? Sure, everyone knows the basics of lightning safety, but what angler hasn't been caught with his guard down as a thunderstorm cuts him off from the quickest route to a safe hiding place? Getting caught in a violent storm is one of the most frightening things a boater can face.

"By not paying attention to either a weather radio or the weather itself, you've put yourself in a perilous situation," Zaleski says. "In (Howell's) situation, there isn't much he could have done except to get back to safety before the storm came through. Climbing into the rod storage might have helped since the boat is made of fiberglass, which doesn't conduct electricity, but lightning does all kinds of strange things. You never know."
The obvious solution is to get to shore, even if the entire shoreline is wooded. The worst option is to be the highest thing around - a boat filled with metal and graphite sitting on wide-open water. We all know that standing under a tree is one of the most dangerous things we can do during a lightning storm. Still, the key adds Zaleski, is to find the lowest trees in the forest and stand next to them, or even better, on the ground lower than those lowest trees, even if it means the open lake bank. Howell made a mistake by pulling into those tall canes. The combination of the metal on the boat and the height of the canes could have been catastrophic.
"Lightning is usually going to go for the tallest thing around, although nothing is fool-proof when it comes to avoiding a strike," Zaleski says. "There have been cases where a lightning bolt reached out horizontally 10 miles before it struck something."
This brings up another critical point. He adds that the most dangerous part of an electrical storm is the outer edge, not the middle of the storm itself. So if you wait until those darkest clouds are right on top of you, you may have waited too long. Zaleski says to think of a storm as a sombrero, a big hat with a wide brim. The crown represents the middle of the storm, while the brim represents the outer edge, the area that has the most potential for producing a lightning strike.

Lightning and drowning are not the only dangers anglers encounter. Although most reservoirs are small enough to defeat extremely rough water brought on by high winds, a few tournaments are held on massive bodies of water that whip into a frenzy. That's what Muscle Shoals, Ala., pro Tim Horton faced on the St. Lawrence River during a tournament in 1999. He and his partner were fishing in Chaumont Bay, typically a 30-minute run from the boat ramp at Clayton, N.Y. But as the day wore on, the wind picked up, and before Horton could decide to head back early, he was forced to run through 8- to 9-foot waves pushed by 35- to 40-mph winds across Lake Erie. The boat ride back to the ramp took nearly three hours, but Horton kept a cool head despite the dangerous situation.
"I think that's the most important thing to remember: keep cool and don't panic. We just took our time and didn't try to do anything stupid," he says. "The wind blew the tops of the waves off and onto us. My partner and I were drenched and cold, but we made it back in one piece."
So how do you handle a bass boat in big, rough water? Horton did the right thing by zigzagging across the waves, a lesson learned through years of running a boat across big southern reservoirs. The worst possible thing a boater can do is to try to run perpendicular to waves, even if safety is in that exact direction. By steering a boat directly into each roller, you risk digging the bow into the water and swamping your boat. Even worse, says Chris Edmonston, a program administrator with Boat U.S., is water coming over the stern.
"When the waves are coming over the front, there is less boat to push down into the water," he says. "Ideally, you want to cut diagonally across the waves. And when you turn, you want to time it so that you turn on the smallest wave. They tend to come in sets, so if you do it right, you can greatly reduce the risk of swamping."
Think the worst won't happen to you? Horton and Howell got lucky. Even they admit that their stories could have had a fateful ending. Catching a bass is a powerful motivator, and it's something that can turn intelligent anglers into foolish ones. No fish is worth the risk.
Common-sense safety
Follow these basic rules to make your next fishing trip is a safe one:
- Tell someone where you plan to fish - and stick with that plan.
- Carry a cell phone in a watertight box or bag.
- Carry a weather radio - and use it.
- Never fish alone during severe conditions such as heavy winds or during periods of cold water.
- Wear your life vest while fishing alone, running the boat, or fishing in cold water.
- Install a ladder to the back of your boat. A soaked pair of coveralls and several layers of clothes can add 20 or 30 pounds to your body.
- Trust your intuition. If you have an uneasy feeling about the weather, you're right.
- Don't push it. Storms move fast and can cut you off from a path back to safety.
Remember, it can happen to you.
Content provided by Bass Fishing Magazine, the official publication of FLW Outdoors